Data =
ORCA calculation (wB97M-V/def2-TZVPD) on CH5F2N2O2PS in the gas phase at a distorted geometry.

XYZ file:
```
14
CH5F2N2O2PS | OMol25 | wB97M-V/def2-TZVPD
C 2.072 0.264 0.701
N -2.690 1.283 -0.716
N -0.247 0.156 -0.892
O 1.883 -1.169 -1.581
O 0.593 -1.896 0.390
F -2.166 -1.420 0.066
F -1.348 0.283 1.450
P -1.706 0.084 -0.159
S 1.112 -0.873 -0.424
H 1.204 0.718 1.266
H 2.557 -0.395 1.418
H 2.555 1.123 0.469
H -3.457 1.287 -0.140
H -0.361 0.555 -1.848
```

Values from the calculation:
**Molar mass**: 178.1 g mol⁻¹
**HOMO-LUMO gap**: 10.50 eV
**Lowest unoccupied orbital energy**: 0.424 eV
**Structure (SMILES)**: CS(=O)(=O)NP(=N)(F)F
**Charge**: 0
**Total energy**: -1240.4002 a.u.

natural (NBO) atomic charge list, values in e, 4 entries: -0.846 -1.217 -1.263 -0.900



ORCA calculation (wB97M-V/def2-TZVPD) on a molecular structure, C42H47Cl2F3HgN3P at a distorted geometry.

XYZ file:
```
99
C42H47Cl2F3HgN3P | OMol25 | wB97M-V/def2-TZVPD
Hg 0.518 0.214 0.735
Cl 2.968 1.183 3.212
C 1.875 2.104 4.263
Cl 0.263 2.205 3.539
H 2.265 3.116 4.366
H 1.802 1.587 5.219
C -1.735 -2.977 4.954
C -0.509 -2.495 4.184
C 0.307 -1.510 5.024
P -0.726 -1.748 2.462
C -2.420 -0.926 2.330
C -3.589 -1.872 2.086
C -2.713 0.042 3.474
C -0.920 -3.175 1.374
C -1.165 -4.469 1.816
C -1.367 -5.519 0.937
C -1.627 -6.913 1.435
C -1.316 -5.250 -0.434
C -1.028 -3.998 -0.904
C -0.791 -2.906 -0.024
N -0.526 -1.681 -0.454
C -0.424 -1.378 -1.811
C -1.514 -0.734 -2.422
C -2.796 -0.585 -1.661
C -1.382 -0.233 -3.701
C -0.201 -0.385 -4.415
C -0.057 0.253 -5.766
C 0.829 -1.114 -3.842
C 0.742 -1.619 -2.553
C 1.898 -2.388 -1.979
H -1.425 -3.626 5.776
H -2.410 -3.537 4.314
H -2.280 -2.139 5.382
H 0.139 -3.359 3.978
H -0.283 -0.634 5.286
H 1.178 -1.177 4.459
H 0.652 -1.983 5.944
H -2.273 -0.323 1.419
H -3.799 -2.494 2.954
H -3.376 -2.516 1.238
H -4.482 -1.289 1.859
H -3.034 -0.482 4.371
H -3.510 0.728 3.187
H -1.832 0.635 3.707
H -1.225 -4.677 2.874
H -1.928 -6.897 2.482
H -0.727 -7.530 1.349
H -2.414 -7.395 0.852
H -1.502 -6.055 -1.136
H -0.979 -3.809 -1.969
H -2.606 0.012 -0.770
H -3.168 -1.557 -1.335
H -3.556 -0.102 -2.273
H -2.207 0.310 -4.148
H -0.837 -0.090 -6.445
H 0.914 0.025 -6.199
H -0.149 1.336 -5.674
H 1.739 -1.290 -4.401
H 2.499 -2.824 -2.778
H 1.554 -3.186 -1.324
H 2.544 -1.735 -1.392
N -0.762 1.747 -0.066
C -0.557 2.970 -0.293
C 0.228 3.895 0.578
C 1.583 3.726 0.837
C 2.240 4.584 1.701
C 1.545 5.605 2.332
C 0.198 5.787 2.067
C -0.456 4.942 1.193
C -1.180 3.604 -1.480
C -2.243 2.974 -2.127
C -2.772 3.494 -3.290
C -2.243 4.653 -3.837
C -1.194 5.293 -3.197
C -0.666 4.779 -2.028
H 2.119 2.920 0.355
H 3.298 4.456 1.887
H 2.053 6.262 3.024
H -0.344 6.596 2.539
H -1.509 5.076 0.985
H -2.627 2.065 -1.697
H -3.592 2.992 -3.785
H -2.633 5.049 -4.766
H -0.772 6.194 -3.622
H 0.166 5.281 -1.553
F 6.990 -0.394 -2.918
C 5.851 0.147 -3.395
F 5.505 -0.638 -4.456
F 6.228 1.323 -3.980
C 4.787 0.310 -2.384
C 3.568 0.949 -2.717
C 2.635 1.165 -1.744
N 2.794 0.809 -0.444
C 3.948 0.156 -0.149
C 4.944 -0.109 -1.046
H 3.394 1.278 -3.729
H 1.704 1.661 -1.979
H 4.050 -0.148 0.885
H 5.841 -0.618 -0.728
```

Values from the calculation:
**⟨S²⟩**: 0.7622
**Molar mass**: 953.3 g mol⁻¹
**HOMO-LUMO gap (alpha / beta)**: 4.18 / 6.38 eV
**2S+1**: 2
**Lowest unoccupied orbital energy (alpha / beta)**: 2.225 / 2.229 eV
**Charge**: -1
**Total energy**: -3507.6918 a.u.

Löwdin atomic charge list, values in e, 4 entries: 0.955 0.521 -0.969 0.572



ORCA calculation (wB97M-V/def2-TZVPD) on a molecular structure, C4H14NO3 at a distorted geometry.

XYZ file:
```
22
C4H14NO3 | OMol25 | wB97M-V/def2-TZVPD
C 0.207 -2.755 0.105
C -0.144 -1.246 -0.059
C -0.468 -0.899 -1.501
C -1.023 0.584 -1.621
O -2.070 0.846 -0.703
N 0.978 -0.530 0.644
H -0.615 -3.329 -0.339
H 0.246 -2.908 1.175
H 1.051 -3.018 -0.534
H -1.035 -1.123 0.575
H -1.263 -1.587 -1.846
H 0.404 -0.998 -2.151
H -1.393 0.730 -2.619
H -0.213 1.264 -1.267
H 0.425 0.159 1.166
H 1.464 0.038 -0.048
H 3.063 1.981 2.219
H 2.347 1.242 1.041
O 3.091 1.843 1.261

What to do =
Now write out every line above that contains the word "Total".

Result =
**Total energy**: -1240.4002 a.u.
**Total energy**: -3507.6918 a.u.